No parent wants their child to be an "uncontrollable brat," which presumably means that the parent has no influence (control) and the child is inconsiderate and irresponsible. But why would anyone think that not being in charge has anything to do with peaceful parenting? Are threats and punishment the only way to be "in charge"?
There's a lot of confusion about peaceful parenting. Parents often assume they should stop setting limits. They think that threats and punishment are the only way to get kids cooperating. They worry that if they stop punishing, their child will do whatever he wants.
But that assumes there are only two choices to encourage cooperation -- being permissive or being punitive. What about holding to your expectations while at the same time offering your child understanding, and support to meet your expectations? That actually makes cooperation more likely.
Let's say you tell your child that it's time for bed, and she ignores you or says NO! What are your choices?
- Threaten or punish her. You have to keep escalating, it ruins everyone's evening, and it erodes your relationship with your child. Result: Your child focuses on your unfairness and gets into a power struggle with you, so is less likely to cooperate in the future, and more likely to develop anger issues.
- Let her do whatever she wants. You're compromising on what's good for your child and what's good for the rest of the family. Until you explode, eventually....Not exactly responsible or peaceful parenting! Result: Your child never internalizes healthy limits but instead pushes until you explode.
- Set a limit -- with empathy. Say "You really don't want to stop playing....I hear you. It's hard to stop. I bet when you grow up, you'll play all night, every night, won't you? AND right now, it's time to get ready for bed....Do you want to fly your plane to the bathroom, or climb on my back and I'll gallop you there?" Result: Your child gives up what they want (more play time) for what they want more (that warm relationship with you.) That strengthens your relationship, making cooperation more likely in the future. And it develops the neural wiring for self-discipline.
What makes a peaceful parent isn't backing away from disagreement. Conflict is part of every human relationship, children learn by testing limits, and your child will never understand why it's so important to take his bath RIGHT NOW! So parents do need to set limits and expectations -- fairly constantly!
What makes a peaceful parent is regulating your own emotions. That way you can stay lovingly connected while you set those limits and work through those disagreements. That's what creates a more peaceful home. That's what helps your child WANT to follow your guidance. And that's what helps children learn to manage their emotions, so they can manage their behavior -- and so they WANT to!
So it's not that peaceful parents aren't "in charge." In fact, they're more in charge than most parents--of their own reactions, and therefore of the mood in their house. That lets them be better role models for their children.
Of course, there will still be times when your child does get to "do whatever she wants."
- Often, that's because you approve of what she's doing, like building a sandcastle on the beach.
- Sometimes it might be because she really wants something, and you decide you can live with the results, like having a sand table in the house.
- Sometimes it might even be against your better judgment, but you decide to give it a try and supervise her, like building a sand castle in a plastic
bin in your kitchen.
- And yes, once in a while you'll just let things go because you're holding the baby and you can't intervene, or you just don't have the energy to enforce your limit.
So you decide it won't be that hard to sweep up if she brings some sand from her sandbox and dumps it on the kitchen floor to play. That's known
as choosing your battles. You may allow it just this once, but then you solve the problem so you both get your needs met and the problem doesn't reoccur in the future. (Back to the sand table.)
But in all of these cases, you're not abdicating. You're making a decision.
Peaceful Parenting means you regulate your own emotions first. Then, you try to see things from the child's point of view, so you often look for a win/win solution that lets the child get some or all of what she wants. But you don't let your child "do whatever she wants" if you really think the answer should be No. You may not think what your child wants to do is safe. Or maybe you just can't handle cleaning up another mess, because it will send you on a slide into resentment and yelling. After all, you're trying to meet your child's needs, but your needs matter, too, if you're aiming to stay peaceful!
So Peaceful Parents DO say No. Plenty. And it's not bad for your child. In fact, that experience of "switching gears" between what he wants, and what you're asking, is what develops the part of the brain that gives your child self-discipline.
But there IS a catch. When kids feel forced and pushed around on a regular basis, it causes resistance. When we yell or they feel like we're being unfair, it causes resistance. So your child is much more likely to cooperate if you set that limit with empathy and understanding.
That's why external discipline that threatens force doesn't actually develop self-discipline, because the child doesn't choose to cooperate. The trick is to stay connected and compassionate, so your child knows you're on his side, and is therefore willing to cooperate with your request, however reluctantly.
Does that mean your child will always happily cooperate if you offer understanding? Unfortunately, no. Often, she'll still object. So how can you stay peaceful and positive then?
1. Stay calm.
When you go into "fight or flight" your child will certainly spiral out of control. If you can stay calm, you create a feeling of safety, so your child doesn't escalate to "fight" mode in the face of your threat, and is more likely to cooperate. Research shows that just noticing your breathing will keep you calmer. It also helps to notice your thoughts and reframe as necessary. For instance, "Why is she doing this to me? I can't take it!" might become "She's acting like a child because she is a child...I'm the grown-up here...Whatever happens, I can handle it. This is not an emergency."
2. Empathize.
If your child feels understood, she's much more likely to accept your limit. "You really wish you could...You're so disappointed...You were really hoping that.."
3. Remember that children only accept our leadership because of the relationship we have with them.
If they resist or defy us, it's a sign that we need to focus on connecting more. If your child often refuses to cooperate, be sure you're spending daily Special Time. Every family I know that has made Special Time a priority has reported a more peaceful household.
4. Renounce punishment.
If you've been swatting your child's hand or dragging her to timeout, you can count on her being less cooperative. That's because she doesn't believe you're truly on her side. And she isn't developing the part of her brain that allows her to switch gears -- because why should she? She's being forced from outside, so she isn't developing self-discipline. So when you make a request, she doesn't have the brain control or motivation to comply, unless you threaten. (See What's Wrong With Strict Parenting?) If you want cooperation without threats or punishment, you need to focus first on connection, so your child WANTS to follow your lead.
5. Look for a win/win solution.
Okay, so she can't climb up on the shelves. But can you get the stepladder with her and spot her to climb up? Most of the time, if you clarify your concerns, you can find a way to meet both your needs. This doesn't mean you go to heroic lengths to meet her desires all day long. It means that your child knows you're on her side, and that you'll try to balance her desires with the rest of the family's needs.
6. Welcome the meltdown.
There are times when you just can't find a win/win solution. Your child's every desire does not have to be satisfied. In fact, often young humans (like adults) provoke a fight when they just need a chance to vent some big emotions. Especially if you're transitioning from punishment to peaceful parenting, your child may act up to signal that he needs your help to empty that emotional backpack.
So set a kind, clear limit and summon up all your compassion. That creates the safety for your child to show you his tears and fears. When he acts like it's the end of the world, remember that young children have big feelings, and their brains haven't yet developed enough to process emotions by talking. Accept his disappointment with as much empathy as you can, even if his anger is directed at you.
Your compassion communicates that you understand, and you're truly sorry it's so hard for him. Notice that you are not changing your limits. Your child doesn't need everything they want. What they do need is your understanding, even -- especially -- when they're having a hard time.
Your calm (not your words) communicates that you also know that these are just feelings, which will evaporate once they're expressed, and the sun will come out again. Experiencing all those emotions in the safety of your presence, and learning that she can make it through and come out okay, is how your child develops resilience.
7. Remember that your job is to be the leader.
Being in charge means you act like a leader, which means you role model healthy emotional regulation and respectful relating. You also set clear limits and expectations. But you're not a dictator. Good leaders lead by example. They listen, try to balance everyone's needs, and protect. Being in charge means you take responsibility to provide a wholesome, nurturing environment. You set clear expectations and give your child whatever support she needs to meet them. So when she isn't cooperating, consider what kind of support she needs from you to meet your expectations.
== Data records, kept here for reference ==
Crystalline SmErHgPb at its relaxed geometry, computed with PBE-GGA.

Values from the calculation:
electronic total energy	-3.78	eV/atom
energy relative to the elements	-456.5	meV per atom
excess energy over the best structure of this formula in the dataset	0.0	kJ per mole of atoms
DOS at the Fermi energy	4.09	states/eV/cell

Cell lengths 4.200, 5.101, 5.112 Å; angles 90.00, 90.00, 90.00 degrees
Space group Pmmm (No. 47)
Inequivalent atoms, fractional coordinates:
Sm1 0.000 0.000 0.000 [1 per cell]
8. Take the time to process your own emotions about how you've experienced parents being "in charge."
Misplaced calculated crystals:
┌──
# 1
Entry from Alexandria: crystalline NaInHg5 at its relaxed geometry (PBE-GGA).

```
NaInHg5
1.0
4.750 -3.212 0.000
4.750 3.212 0.000
0.000 0.000 12.583
Na In Hg
2 2 10
Direct
0.000 0.000 0.000
0.000 0.000 0.500
0.375 0.625 0.750
0.625 0.375 0.250
0.091 0.909 0.250
0.153 0.420 0.111
0.153 0.420 0.389
0.420 0.153 0.611
0.420 0.153 0.889
0.580 0.847 0.111
0.580 0.847 0.389
0.847 0.580 0.611
0.847 0.580 0.889
0.909 0.091 0.750
```

Properties
**Energy above the most stable polymorph in this dataset**: 0 meV per atom

# 2
Entry from Alexandria: crystalline Na4In5Hg2 at its relaxed geometry (PBE-GGA).

```
Na4In5Hg2
1.0
8.121 0.000 0.000
0.000 3.370 0.000
-0.765 0.000 10.616
Na In Hg
4 5 2
Direct
0.160 0.000 0.392
0.280 0.000 0.948
0.720 0.000 0.052
0.840 0.000 0.608
0.204 0.500 0.668
0.435 0.500 0.209
0.500 0.500 0.500
0.565 0.500 0.791
0.796 0.500 0.332
0.060 0.500 0.141
0.940 0.500 0.859
```

| no. | DFT formation energy (eV/atom) |
| --- | --- |
| 1 | -0.08 |
| 2 | -0.14 |


Tm3Hg4Au2: optimized geometry, PBE.

## Properties
electronic total energy	-51.6	eV per cell
energy of formation	-516	meV/atom
space-group type	C2/c

a = 5.2879 Å, b = 9.0445 Å, c = 9.0445 Å
α = 77.73°, β = 82.11°, γ = 82.11°
Closest atoms and distances in Å follow each position.
Sites, in units of the cell vectors:
1 Tm 0.9216 0.0396 0.3024  8 Hg 3.05-3.33, 2 Au 3.05-3.10
2 Tm 0.5784 0.6976 0.9604  8 Hg 3.05-3.33, 2 Au 3.05-3.10
3 Tm 0.0784 0.9604 0.6976  8 Hg 3.05-3.33, 2 Au 3.05-3.10
4 Tm 0.4216 0.3024 0.0396  8 Hg 3.05-3.33, 2 Au 3.05-3.10
5 Tm 0.7500 0.6149 0.3851  6 Au 3.00-3.17, 4 Hg 3.03-3.30
6 Tm 0.2500 0.3851 0.6149  6 Au 3.00-3.17, 4 Hg 3.03-3.30
7 Hg 0.6332 0.8366 0.6004  5 Tm 3.03-3.24, 3 Au 3.04-3.20, 2 Hg 3.12-3.36
8 Hg 0.9752 0.1835 0.9296  4 Hg 3.06-3.28, 5 Tm 3.08-3.33, 1 Au 3.17
9 Hg 0.4752 0.9296 0.1835  4 Hg 3.06-3.28, 5 Tm 3.08-3.33, 1 Au 3.17
10 Hg 0.0248 0.8165 0.0704  4 Hg 3.06-3.28, 5 Tm 3.08-3.33, 1 Au 3.17
11 Hg 0.8668 0.3996 0.1634  5 Tm 3.03-3.24, 3 Au 3.04-3.20, 2 Hg 3.12-3.36
12 Hg 0.1332 0.6004 0.8366  5 Tm 3.03-3.24, 3 Au 3.04-3.20, 2 Hg 3.12-3.36
13 Hg 0.5248 0.0704 0.8165  4 Hg 3.06-3.28, 5 Tm 3.08-3.33, 1 Au 3.17
14 Hg 0.3668 0.1634 0.3996  5 Tm 3.03-3.24, 3 Au 3.04-3.20, 2 Hg 3.12-3.36
15 Au 0.1875 0.7391 0.4785  5 Tm 3.00-3.17, 1 Au 3.02, 4 Hg 3.04-3.20
16 Au 0.6875 0.4785 0.7391  5 Tm 3.00-3.17, 1 Au 3.02, 4 Hg 3.04-3.20
17 Au 0.8125 0.2609 0.5215  5 Tm 3.00-3.17, 1 Au 3.02, 4 Hg 3.04-3.20
18 Au 0.3125 0.5215 0.2609  5 Tm 3.00-3.17, 1 Au 3.02, 4 Hg 3.04-3.20

Tm3Hg2Au: optimized geometry, PBE.

## Properties
energy above the most stable polymorph in this dataset	0.0000	eV/atom
electronic total energy	-21.0	eV per cell
energy of formation	-621	meV/atom
space-group type	P4/mmm

a = 3.6218 Å, b = 3.6218 Å, c = 10.9854 Å
α = 90.00°, β = 90.00°, γ = 90.00°
Closest atoms and distances in Å follow each position.
Sites, in units of the cell vectors:
1 Hg 0.5000 0.5000 0.8326  8 Tm 3.15-3.21
2 Hg 0.5000 0.5000 0.1674  8 Tm 3.15-3.21
└──
The calculated crystals stop here:
For instance, if your parents were very strict, you may fear that you're not in charge unless you're controlling your child's every move. Or maybe you don't want to repeat that pattern, so you don't set limits at all. That doesn't help your kids. (See What's Wrong with Permissive Parenting?) And most likely, you'll end up yelling when things finally get out of hand. Kids without limits always push us to our limits.
If, instead of getting hijacked by our own childhoods, we can let ourselves feel all those old emotions of how alone we felt, how hurt, how sad .... they no longer control us. We won't go into fight or flight when our kids are upset. We're free to set limits and guide our child with empathy. When we lose it, we can forgive ourselves, step up our self-care, reconnect with our child, and try a do-over.
Letting kids do whatever they want wouldn't be good for them, or for us. But the wonderful thing about empathic limits is that they help kids WANT to cooperate.
So you get to be more peaceful.